What will we do about automation Sup Forums?
What will we do when all the jobs are gone?
What will we do about automation Sup Forums?
What will we do when all the jobs are gone?
Other urls found in this thread:
let the robots work
collect ubi
do other things
if you can't imagine, the (((system))) has got you
Give handjobs to each other in seedy massage parlors
Are you so beta that you really need to be told what to do all the time? Stop being a fucking robot and you won't have to worry about being replaced by one.
Ever look under a bridge? Thats where people who provide no value to society go.
Why do you think you will be able to provide no value and not end up under the bridge?
It depends on how optimistic you are on the future of technology. Tay as Microsoft's chatbot was an example of the current limitations of technology: you can make an "AI" that deals with limited circumstance and parses data well when the circumstances are controlled but crumbles when unexpected circumstances happen.
Tay was an example (hijacked/dataset issue) and so is IBM's watson. Watson found Urban dictionary and would respond to answers in profanity. They would have to purge it. Watson was built to question/answer in a limited circumstance, suggestion with a need for human verification.
So now that we have "all the jobs" out of the way (e.g. machines still struggle with tasks that aren't highly repeatable), let's move on to those jobs with redundancy.
Driving is under huge threat. Some people think there are going to be driverless ridesharing services by 2022. To that I say, maybe they exist, but not en masse, and they will be sued to oblivion over any accidents that happened. I think long term taxi/livery and truck drivers are utterly fucked.
People are willing to work cheaply enough in the fields for farming plus subsidies. Administration policies might alter this, but the work sucks even for a good wage.
Fast food is a job where I see robots taking the fuck over. Repetitive work + consistent product + machine ordering = result. If you have to employ one person to push the food onto a tray or handle complaints and call the cops if someone is breaking stuff or mechanics if the machine is breaking down you're way ahead long term vs. several humans. Sensors and robotics have gotten cheaper. The proof of concept is already there.
Retail is harder, consumers are going more online but this will change. More people have accepted self checkout and even more automated options (e.g. home delivery of groceries) are there.
Cut taxes for the rich and corporations and hand everything over to our billionaire globalist overlords
Automate an anti-automation solution.
Over time universal basic income will become a reality in most nations, maybe we take the Ender's Game route of taxing the shit and socially shaming anybody who has a "third" (thanks Orson Scott Card).
Or maybe people advocate genocide.
Either way, there's going to be a ton of people in the next 20-50 years who don't have a skill that contributes to society in a capacity that automation or outsourcing can address.
<<<
The following is a computed powder diffractogram of Nd3P2Pt9. It was derived from a DFT-relaxed cell (GGA-PBE, Alexandria), using Cu Kα, 1.54184 Å.

Top 6 peaks for 2θ from 5° to 70°, sorted by position:
h k l  2θ/deg  I (rel.)
0 0 6  31.07  71.7
2 0 2  36.37  100.0
2 0 3  38.25  94.2
2 0 4  40.76  45.5
2 0 5  43.82  44.7
2 0 8  55.52  39.0

Atomic structure:
```
Nd3P2Pt9
1.0
5.954 0.000 0.000
-2.977 5.156 0.000
0.000 0.000 17.271
Nd P Pt
6 4 18
Cartesian
0.000 0.000 4.318 Nd
0.000 0.000 12.953 Nd
0.000 3.437 1.520 Nd
0.000 3.437 7.115 Nd
2.977 1.719 10.156 Nd
2.977 1.719 15.751 Nd
0.000 3.437 11.297 P
0.000 3.437 14.610 P
2.977 1.719 2.661 P
2.977 1.719 5.975 P
-1.400 2.629 4.318 Pt
0.000 1.642 9.810 Pt
0.000 1.642 16.096 Pt
-1.554 4.335 9.810 Pt
-1.554 4.335 16.096 Pt
1.422 0.821 1.175 Pt
1.422 0.821 7.461 Pt
1.400 2.629 4.318 Pt
0.000 5.054 4.318 Pt
2.977 0.102 12.953 Pt
1.577 2.527 12.953 Pt
1.554 4.335 9.810 Pt
1.554 4.335 16.096 Pt
4.531 0.821 1.175 Pt
4.531 0.821 7.461 Pt
2.977 3.514 1.175 Pt
2.977 3.514 7.461 Pt
4.376 2.527 12.953 Pt
```

----------

Starting from a GGA-PBE-relaxed structure, the XRD peak list of Sm3Ga2Co2 was simulated for copper Kα.
Lines closer than 0.1° are merged.

Cell and atoms:
```
data_Sm3Ga2Co2
_space_group_name_H-M_alt 'I m m m'
_space_group_IT_number 71
_space_group_name_Hall '-I 2 2'
_cell_length_a 4.0978
_cell_length_b 4.3181
_cell_length_c 17.3755
_cell_angle_alpha 90.00
_cell_angle_beta 90.00
_cell_angle_gamma 90.00
loop_
_atom_site_label
_atom_site_type_symbol
_atom_site_fract_x
_atom_site_fract_y
_atom_site_fract_z
_atom_site_occupancy
Sm1 Sm 0.0000 0.0000 0.0000 1
Sm2 Sm 0.0000 0.5000 0.1771 1
Ga1 Ga 0.0000 0.5000 0.3654 1
Co1 Co 0.0000 0.0000 0.4359 1
```

Largest 12 diffraction maxima, sorted by position, 2θ from 10° to 90°:
2θ (°)  I/Imax  hkl
25.7  35  0 1 3
30.9  21  0 0 6
31.8  100  1 1 2
33.8  55  1 0 5
36.6  48  1 1 4
41.8  32  0 2 0
42.0  18  0 1 7
43.6  16  1 1 6
44.2  27  2 0 0
51.9  30  0 1 9
54.9  36  1 2 5
62.5  19  2 2 0



Starting from a GGA-PBE-relaxed structure, the XRD peak list of Sm8GaCo2 was simulated for copper Kα.
Lines closer than 0.1° are merged.

Cell and atoms:
```
data_Sm8GaCo2
_space_group_name_H-M_alt 'C 1 2/m 1'
_space_group_IT_number 12
_space_group_name_Hall '-C 2y'
_cell_length_a 8.6188
_cell_length_b 13.3414
_cell_length_c 5.4500
_cell_angle_alpha 90.00
_cell_angle_beta 104.72
_cell_angle_gamma 90.00
loop_
_atom_site_label
_atom_site_type_symbol
_atom_site_fract_x
_atom_site_fract_y
_atom_site_fract_z
_atom_site_occupancy
Sm1 Sm 0.0000 0.2431 0.0000 1
Sm2 Sm 0.1159 0.5000 0.8075 1
Sm3 Sm 0.2021 0.1277 0.5691 1
Ga1 Ga 0.0000 0.0000 0.0000 1
Co1 Co 0.0000 0.2984 0.5000 1
```

Largest 12 diffraction maxima, sorted by position, 2θ from 10° to 90°:
2θ (°)  I/Imax  hkl
26.7  20  1 3 -1
27.2  25  2 2 -1
30.5  74  2 0 1
31.7  100  0 4 1
33.1  64  3 1 -1
33.6  49  1 1 -2
34.4  75  2 4 0
36.7  23  0 2 2
37.9  20  2 2 -2
38.1  53  3 3 0
53.2  36  2 4 2
64.3  24  2 8 1
>>>
UBI is the inevitable future.
But thank god, it's a very far off future, at least half a century.
you're here:
>if you can't imagine, the (((system))) has got you
I program robots. If your job can be done by a robot within the next 20-30 yrs, you were never destined for success anyway. You were just lucky to get in with a union that overpays you.
>motherboard is wireless before it's been built
Blame brown people
Learn to program robot arms and lease them to other companies to package items and simple stuff.
Rent them at $10/hour and explain the robot arms can work 24/7 and do not need health care.
The solution is obvious.
We just lower the population.
It should be obvious that this is what this is leading to and that it isn't a coincidence.
Keeping automatons in working condition requires way more effort from the capitalistic overlord, than paying miserable wage to to goy shmucks.
We won't see any significant job loss in our lifetime, but we will see a global economic collapse that will drive global wages down, and create some new cheap labor sources.
Bring it the fuck on. Im an electrician. My job can never be automated. In fact, I'll have more work installing power systems to power the robots that put you all out of work.
>He thinks that by working he contributes to society
Keep contributing to a worthle-- i mean, to a beautifu levergrowing system that is human society.
Never dare to think outside of the box. Attagoy.
Automation is a soft brained meme. Why pay 500k for a robot which needs regular maintenance when you can pay some retard $7 an hour to do it instead
Independent or union? Where? Looking to become a sparky too
Any advice is appreciated
>universal basic income
>buy products from businesses
>businesses pay taxes
>get income from gov
not communism because business owners are making money
Industrial engineer in major Canadian firm. I write the code that makes people redundant... and there is always more to program.
It'll hurt white collar jobs a lot more than blue collar ones.
At some point there's a man fixing the robot.
An accountant's job can be done by a phone.
>My job can never be automated.
We'll be fine. The present rulers of the world are just a little insane. Once we've kicked them out, the resource base is more than ample to start progressing forward again. There's no reason for us to be caught up in a statist hell forever; we can be wealthy enough to have no need of rulers, and even our present rulers would have better, wealthier lives if they would let go of the power with which they have restrained their fellow men.
>At some point there's a man fixing the robot.
High demand for diagnostic and repair bots.
Your automated car breaks down, a drone is dispaced to determine the failure, comunnicates to parts hub blimp in the sky, dispatches parts, repairs car on sight, automated car fixed, on you go.
It is only decades away.
>Once we've kicked them out
lol. You're going to be really, really disappointed.
Youre a shortsighted faggot. While o understand the potential for robotics and automation, this will not be happening nearly so soon
t. Built cars and have built robots, program AI
Bro, do you even wrench?
I'm putting money on the fact that you've never done new construction, yet think you can build a robot to. Admit at least you will be doing a lot of consulting of real men who have swung a hammer, laid some pipe, bend some conduit...
Implying a KUKA robot is cheaper than a nigger from Haiti who works in exchange of bread and water
I am a residential wireman in texas. I work for an open shop as a service tech. Great work. Company van. Excellent pay. Dont get into new construction. No money there. Service is where its at. I get hourly pay plus commission and bonuses on work sold.
>My job can never be automated.
That's not how automation works. It doesn't necessarily mean you're replaced by a robot, it means new tools increase productivity and take skills and knowledge out of the job. You may not be automated away but you could still have your wages suppressed by fewer gigs and pajeets or nigerians with a rubber stamped certification.
there will be nothing but retail and service jobs left to push the goods being assembled on the automation lines
Kick back relax and have a nice cold mint julep on my porch while my robots tend my fields.
I think we should fight the automation!
There's no point to living if you're not working!
We need to earn shek-... money!
I welcome new tools and advanced equipment. Still need guys with the knowledge to diagnose and fix the problems behind the tools. I dont do new construction. Im a service/troubleshoot guy.
> we live in a society where we produce a surplus of unless shit
>contribute to society
Admit it Sup Forums the only answer is redistribution. It is ridiculous to say that people who do not work deserve to die of hunger, while we produce ridiculous amount of crap nobody needs
That's all great to know brother, and furthermore, glad to hear that you're satisfied with the decision to embark on a career in Electrical. I'm looking for a similar gig - service, as to stay in town and close to home w the family here in OH. How did you start out, through application to your current employer? Any extended education, like the AECIEC or college? I'm hoping to learn that such is superfluous and I can hop right on with a company as an apprentice. End goal is to get licensed and head out on my own. Help my bro run a demo biz and that's were I would like to be one day, calling the shots.
Laugh at the poor niggers who have jobs that can be automated away.
Fucking meat puppet automaton cuck faggots
Nope. All you low bred have-nots can die of scurvy for all I care. Get a new skillset and stop taking my money to feed your nigger babies
Complete automation is a commie fever dream, kill yourself for posting this.
Without jerbs the economy stops = no pay.
No pay= no manufacturing
All the robots in the world can't predict consumer needs and wants you pickanninee.
I mean if it gets to the point where robots take ALL the jobs, there's no real point in us working because the robots are all doing it better and no one is going to take us over a near-perfect machine. At that point we'll probably just be paid to exist. That or a another workers' revolution will happen.
>My job can never be automated.
>He thinks the robots will never build more robots
I dunno, actually enjoy life for a change?
>At some point there's a man fixing the robot.
You mean until the robots start repairing each other.
And then they start secretly installing weapon systems in their previously broken friends.
We'll build more for less, and manage manufacturing systems rather than physically manufacturing.
People act like automation will suddenly take place, while its been happening since the industrial revolution...
>He thinks strong AI won't learn programming...
>My job can never be automated.
The new, "here, hold my beer".
Thank the tech gods!!! I'm tired of all the shit poo-code floating around and crashing my browser.
Literally this, the industrial revolution never ended, and is far from over
Anyone using that as a pejorative, is probably a dirty liberal.
Reveal your flag, kike.
I'm one of the people making the jerbs go away by working on AI. Plan is to be rich as fuck and live like a feudal lord employing all you normies to provide the joy of subjugation that no machine can provide. I'l probably end up failing that and necking myself instead to avoid being a peasant.
Will be hard to get right into a service tech job. The union here sucks jmen but is great for apprentices. Basically free college for an electrician. Learn the trade. Take your lumps. It'll get easier and the money will come in due time. Gotta earn it though. Green apprentices get shit pay.
Democrats will sweep the next election. Republican communities will die out as we liberal big city people use our superior education and intellect to make robots that take over their crappy jobs, and the working class white culture that voted for racism will be forever gone.
Only rural rednecks and suburban retards voted for Drumpf. Progressive city people all voted for Hillary. #resist